So, I was reading Pastor John MacArthur's February 2021 letter to GTY (Grace to You) subscribers and found the words so true and comforting I wanted to share an excerpt in hopes it does the same for you. I also encourage you to check out GTY online. I receive their daily devotions by email, Strength for Today and Drawing Near, and more often than not they are full of wisdom and good counsel, and a great way to start the day, or finish the day...or just get through the day.
And like the amazing resources on this website, they are FREE! How often are we out there in this world, striving to find that thing that will satisfy, that will make us "happy" and God's Word is sitting on the shelf or in cyberspace, waiting, getting dusty, waiting ... and waiting. All we have to do is pick it up, read, listen and pray for understanding and WOW. It will change your attitude, your outlook, and your trust in Him will grow, you will know how to please Him, how to serve Him, you will gain the wisdom and understanding you long for, and in the process you will also gain PEACE in your heart that no one can steal. A priceless treasure, that is totally secure, in your heart. Is cash going to fall from the sky? or instant healing from every malady? or Mr. Wonderful or Ms. Wonderful going to knock on your door, Most likely, NOT. But these are not the things that will satisfy. Oh, the world will try to make you think, they will. But nope. Check the source of all wisdom and knowledge, for the truth. Again, that FREE Bible sitting on the shelf. Enough said. Here's that excerpt I mentioned. Enjoy!
=====
(1)
# C63H62Br3N9O24

C63H62Br3N9O24 as an isolated structure in a non-equilibrium geometry (wB97M-V/def2-TZVPD, the Open Molecules 2025 dataset).

Summary:
Electronic energy   -338987.9854 eV
Expectation value of S²   0.766

Structure (ORCA input):
```
! wB97M-V def2-TZVPD RIJCOSX def2/J DEFGRID3
* xyz -1 2
C -1.61400 -3.22000 -3.10661
C -1.67086 -4.24241 -2.14372
C -2.92294 -4.65679 -1.68049
C -4.10228 -4.04629 -2.11638
C -4.05208 -3.05744 -3.08050
C -2.80562 -2.66546 -3.56924
N -5.45042 -4.55401 -1.62845
O -6.42632 -4.07643 -2.19163
O -5.46464 -5.25277 -0.63716
H -0.67078 -2.97532 -3.57231
H -0.82794 -4.79697 -1.75859
H -2.98103 -5.45317 -0.95329
H -4.98819 -2.66256 -3.44679
H -2.91752 -1.87846 -4.30035
C 4.98254 2.66132 -4.31326
C 3.90783 1.76564 -4.25226
C 2.61941 2.19336 -4.57760
C 2.44947 3.48320 -5.03966
C 3.51140 4.38772 -5.05330
C 4.73520 3.93773 -4.72069
N 1.04972 3.96839 -5.38243
O 0.15783 3.14074 -5.46227
O 0.84353 5.22613 -5.51641
H 5.96852 2.33623 -4.01562
H 4.13540 0.76431 -3.91767
H 1.78837 1.50469 -4.61641
H 3.46774 5.43257 -5.32311
H 5.59415 4.58184 -4.83789
C -4.51327 2.03747 7.46510
C -5.38036 2.74708 6.60766
C -5.44876 2.35999 5.23083
C -4.59575 1.42575 4.73081
C -3.71134 0.73302 5.56853
C -3.71592 1.04732 6.89973
N -4.47961 1.19704 3.27095
O -3.80074 0.24207 2.84314
O -5.12516 2.00400 2.62709
H -4.41098 2.22144 8.52438
H -6.06184 3.50862 6.95699
H -6.07055 2.93477 4.56045
H -3.04264 -0.05475 5.25445
H -3.08356 0.38057 7.46715
C -0.28321 4.10791 -1.47110
C 0.88983 3.34168 -1.40587
C 2.16320 3.85465 -1.10391
C 2.22139 5.21997 -0.65519
C 1.04821 6.00545 -0.63001
C -0.20313 5.47379 -1.01209
N 3.50952 5.90161 -0.54757
O 3.66086 7.01091 -0.07088
O 4.51000 5.36310 -0.94616
H -1.16661 3.57721 -1.79414
H 0.81409 2.30716 -1.70655
H 3.07499 3.38955 -1.44844
H 1.08868 7.08065 -0.53675
H -1.14213 6.00708 -0.99505
C 3.77766 -2.71083 7.62829
C 3.11889 -2.92396 6.42138
C 3.36426 -2.10528 5.37504
C 4.26508 -0.99034 5.51906
C 4.74969 -0.71217 6.80355
C 4.56539 -1.59433 7.85992
N 4.57329 -0.10154 4.38417
O 5.31723 0.82366 4.65758
O 4.01242 -0.31845 3.34012
H 3.49927 -3.38502 8.42476
H 2.57681 -3.84891 6.29093
H 2.89534 -2.32650 4.42764
H 5.37344 0.15831 6.94352
H 5.12963 -1.47307 8.77279
C -4.04895 0.78710 -5.16083
C -2.78541 1.17517 -4.82397
C -2.50499 1.38638 -3.43318
C -3.50875 1.31184 -2.39866
C -4.79528 0.90681 -2.80280
C -5.00984 0.65358 -4.14687
N -3.28020 1.54378 -0.95042
O -4.11771 1.16293 -0.18002
O -2.17134 1.90050 -0.59905
H -4.28395 0.55443 -6.18894
H -2.13985 1.43774 -5.64902
H -1.53167 1.76700 -3.16084
H -5.65140 0.73575 -2.16703
H -5.99446 0.30914 -4.42668
C 1.70047 3.23364 2.22227
C 2.07184 2.21088 1.35535
C 3.40794 2.08380 0.93988
C 4.39333 2.94670 1.45268
C 3.95797 4.01277 2.30304
C 2.61625 4.13827 2.66821
N 5.79654 2.78109 1.05823
O 6.62495 3.45186 1.64513
O 6.10661 1.97339 0.20938
H 0.72410 3.43907 2.63568
H 1.39018 1.45498 0.99428
H 3.55971 1.22589 0.30163
H 4.73497 4.61421 2.75129
H 2.22518 4.98407 3.21419
=====
Thankfully, God’s Word not only prepares us to expect rials, but is also assures us He is accomplishing good and gracious purposes through them. God’s purposes aren’t incidental to the trials—His purposes are essential to the hardships. He brings us trials to test the strength of our faith, to wean us from earthly things, to reveal what we really love, to teach us to value His blessings, to enable us to help others in their suffering, to produce endurance and strength, and finally—and most central to the point of this letter—trials call us to an eternal hope. They cause us to look upward and long for heaven in a way we otherwise would not.
One of the unhealthy effects of living in a prolonged era of relative comfort, convenience, and acceptance is that it curbs our appetite for heaven. When the sailing is smooth, heaven loses some of its luster. People who are satisfied by temporal things and content with the here and now don’t find the glories of heaven very compelling. While we are right to preach against the prosperity gospel and the “your best life now” philosophy of Joel Osteen and others like him, believers sometimes slip into a similar mindset that views political, social, and economic stability as right guaranteed by God, expecting nothing less than heaven on earth.
But by His grace, God is using these unprecedented circumstances to correct and sanctify people’s thinking. As the moral decline or our culture accelerates, political foundations crumble, the fleeting nature of material wealth becomes more apparent, and cultural and social pressures against true Christianity mount, the world is losing its allure and heaven is becoming more and more appealing. If the trials of the past year accomplish nothing else in believers except to redirect our affections and hopes toward the eternal home God is preparing for us—and preparing us for—we should consider them a profound blessing.” Pastor-Teacher, John MacArthur
Here is a sermon you should check out for more about our eternal home!

Thankfully, God’s Word not only prepares us to expect rials, but is also assures us He is accomplishing good and gracious purposes through them. God’s purposes aren’t incidental to the trials—His purposes are essential to the hardships. He brings us trials to test the strength of our faith, to wean us from earthly things, to reveal what we really love, to teach us to value His blessings, to enable us to help others in their suffering, to produce endurance and strength, and finally—and most central to the point of this letter—trials call us to an eternal hope. They cause us to look upward and long for heaven in a way we otherwise would not.
One of the unhealthy effects of living in a prolonged era of relative comfort, convenience, and acceptance is that it curbs our appetite for heaven. When the sailing is smooth, heaven loses some of its luster. People who are satisfied by temporal things and content with the here and now don’t find the glories of heaven very compelling. While we are right to preach against the prosperity gospel and the “your best life now” philosophy of Joel Osteen and others like him, believers sometimes slip into a similar mindset that views political, social, and economic stability as right guaranteed by God, expecting nothing less than heaven on earth.
But by His grace, God is using these unprecedented circumstances to correct and sanctify people’s thinking. As the moral decline or our culture accelerates, political foundations crumble, the fleeting nature of material wealth becomes more apparent, and cultural and social pressures against true Christianity mount, the world is losing its allure and heaven is becoming more and more appealing. If the trials of the past year accomplish nothing else in believers except to redirect our affections and hopes toward the eternal home God is preparing for us—and preparing us for—we should consider them a profound blessing.” Pastor-Teacher, John MacArthur
Here is a sermon you should check out for more about our eternal home!

Desiring Heaven Above All Else
If you’re going to have a conference on death, and dying, and heaven you have to have an old person, because you need a view from the hearse. Well, I got in on one session last night and it was real